[Material]
+++
A structure of composition C38H96AsF12N7O10S2 at a distorted geometry. Source: the OMol25 dataset; level of theory: ωB97M-V/def2-TZVPD.

Geometry as ORCA input:
```
! RIJCOSX wB97M-V def2-TZVPD def2/J DEFGRID3
* xyz 4 1
C -8.223 -2.728 -0.252
F -8.192 -2.527 1.031
F -9.390 -2.478 -0.809
F -7.374 -1.811 -0.752
S -7.631 -4.560 -0.586
O -6.681 -4.844 0.460
O -8.876 -5.317 -0.470
N -6.974 -4.446 -2.232
S -6.998 -5.924 -2.613
O -6.117 -6.754 -1.765
O -8.354 -6.465 -2.886
C -6.173 -5.761 -4.380
F -6.625 -4.708 -5.000
F -4.895 -5.606 -4.328
F -6.547 -6.805 -5.164
C -17.687 0.653 1.971
C -16.254 0.875 2.502
N -15.379 -0.442 2.768
C -16.031 -1.355 3.837
C -15.253 -1.260 1.430
C -14.369 -2.508 1.616
C -14.046 -0.019 3.446
C -13.297 0.913 2.589
O -12.108 1.010 3.460
C -11.243 2.070 3.273
H -17.809 0.184 0.995
H -18.246 1.585 1.889
H -18.253 -0.085 2.541
H -16.294 1.268 3.518
H -15.721 1.560 1.842
H -16.966 -1.763 3.455
H -16.291 -0.728 4.690
H -15.377 -2.146 4.206
H -15.026 -0.492 0.690
H -16.268 -1.639 1.316
H -14.252 -3.058 0.683
H -14.697 -3.211 2.382
H -13.337 -2.262 1.865
H -13.469 -0.942 3.491
H -14.298 0.400 4.420
H -13.591 1.957 2.486
H -13.112 0.579 1.568
H -10.497 1.887 2.500
H -10.765 2.273 4.231
H -11.736 3.011 3.027
C -12.635 -3.043 -5.164
C -11.419 -2.759 -6.163
N -11.863 -2.931 -7.665
C -10.537 -2.796 -8.471
C -12.429 -4.291 -8.039
C -11.737 -5.517 -7.470
C -12.743 -1.682 -7.913
C -12.865 -1.147 -9.296
O -13.097 -2.206 -10.144
C -13.458 -1.769 -11.450
H -13.178 -3.974 -5.328
H -13.401 -2.280 -5.305
H -12.277 -3.116 -4.137
H -10.600 -3.453 -5.975
H -11.030 -1.752 -6.014
H -9.896 -3.662 -8.303
H -10.001 -1.911 -8.129
H -10.776 -2.727 -9.532
H -12.536 -4.332 -9.123
H -13.461 -4.284 -7.688
H -11.564 -5.458 -6.396
H -10.754 -5.572 -7.939
H -12.160 -6.460 -7.815
H -12.457 -0.855 -7.264
H -13.766 -1.859 -7.580
H -12.074 -0.514 -9.698
H -13.768 -0.537 -9.305
H -14.406 -1.235 -11.512
H -13.418 -2.544 -12.216
H -12.697 -1.075 -11.807
C -11.497 -12.294 -0.049
C -12.067 -10.803 0.332
N -13.249 -10.432 -0.539
C -13.400 -8.881 -0.452
C -12.966 -10.698 -2.062
C -13.928 -10.043 -3.085
C -14.605 -11.173 -0.195
C -14.884 -11.126 1.372
O -14.593 -9.877 2.077
C -15.064 -9.815 3.381
H -10.556 -12.472 0.471
H -11.167 -12.286 -1.088
H -12.203 -13.114 0.082
H -11.317 -10.021 0.217
H -12.433 -10.719 1.355
H -12.674 -8.333 -1.052
H -13.405 -8.579 0.596
H -14.400 -8.703 -0.848
H -13.001 -11.781 -2.180
H -11.921 -10.422 -2.197
H -14.049 -8.960 -3.075
H -14.909 -10.510 -3.002
H -13.556 -10.379 -4.052
H -14.602 -12.217 -0.505
H -15.371 -10.788 -0.867
H -14.489 -12.038 1.819
H -15.955 -11.320 1.438
H -14.194 -9.870 4.034
H -15.666 -10.688 3.635
H -15.647 -8.950 3.698
C -4.714 -0.109 6.381
C -5.660 -0.355 7.488
C -6.809 -1.251 7.249
O -7.828 -1.026 8.220
C -8.782 -2.018 8.327
N -4.882 -0.930 8.721
H -4.121 -0.362 9.064
H -5.520 -1.226 9.446
H -4.436 -1.815 8.522
H -3.839 0.465 6.687
H -5.235 0.320 5.525
H -4.373 -1.092 6.053
H -5.979 0.617 7.863
H -6.628 -2.306 7.041
H -7.246 -0.932 6.303
H -9.348 -2.191 7.412
H -9.519 -1.570 8.993
H -8.409 -2.910 8.832
C -2.419 -2.969 -2.201
C -2.589 -1.818 -3.245
C -1.983 -2.109 -4.586
O -2.321 -1.139 -5.597
C -2.298 -1.663 -6.956
N -4.089 -1.537 -3.512
H -4.552 -2.404 -3.277
H -4.452 -0.723 -3.038
H -4.111 -1.296 -4.493
H -3.116 -2.850 -1.372
H -1.447 -2.836 -1.726
H -2.459 -3.993 -2.572
H -2.327 -0.828 -2.872
H -2.244 -3.115 -4.914
H -0.894 -2.137 -4.593
H -2.381 -0.910 -7.740
H -3.074 -2.402 -7.159
H -1.284 -2.010 -7.155
C -6.022 -11.025 4.670
C -6.764 -9.897 3.955
C -7.836 -9.198 4.777
O -8.381 -8.132 3.973
C -9.653 -7.782 4.478
N -5.799 -8.798 3.438
H -6.305 -7.976 3.140
H -5.073 -8.518 4.082
H -5.223 -9.038 2.645
H -5.024 -11.116 4.240
H -6.523 -11.993 4.655
H -5.968 -10.702 5.710
H -7.303 -10.236 3.071
H -7.565 -8.775 5.745
H -8.527 -10.031 4.904
H -9.550 -7.352 5.475
H -10.284 -8.670 4.478
H -10.115 -7.014 3.857
As -4.149 -12.363 -1.101
F -4.480 -11.680 -2.741
F -3.485 -10.800 -0.488
F -3.815 -13.008 0.554
+++

[To do]
Please start at the top of the material above and set down each line, ending with the one that has "5.525".

[Solution]
A structure of composition C38H96AsF12N7O10S2 at a distorted geometry. Source: the OMol25 dataset; level of theory: ωB97M-V/def2-TZVPD.

Geometry as ORCA input:
```
! RIJCOSX wB97M-V def2-TZVPD def2/J DEFGRID3
* xyz 4 1
C -8.223 -2.728 -0.252
F -8.192 -2.527 1.031
F -9.390 -2.478 -0.809
F -7.374 -1.811 -0.752
S -7.631 -4.560 -0.586
O -6.681 -4.844 0.460
O -8.876 -5.317 -0.470
N -6.974 -4.446 -2.232
S -6.998 -5.924 -2.613
O -6.117 -6.754 -1.765
O -8.354 -6.465 -2.886
C -6.173 -5.761 -4.380
F -6.625 -4.708 -5.000
F -4.895 -5.606 -4.328
F -6.547 -6.805 -5.164
C -17.687 0.653 1.971
C -16.254 0.875 2.502
N -15.379 -0.442 2.768
C -16.031 -1.355 3.837
C -15.253 -1.260 1.430
C -14.369 -2.508 1.616
C -14.046 -0.019 3.446
C -13.297 0.913 2.589
O -12.108 1.010 3.460
C -11.243 2.070 3.273
H -17.809 0.184 0.995
H -18.246 1.585 1.889
H -18.253 -0.085 2.541
H -16.294 1.268 3.518
H -15.721 1.560 1.842
H -16.966 -1.763 3.455
H -16.291 -0.728 4.690
H -15.377 -2.146 4.206
H -15.026 -0.492 0.690
H -16.268 -1.639 1.316
H -14.252 -3.058 0.683
H -14.697 -3.211 2.382
H -13.337 -2.262 1.865
H -13.469 -0.942 3.491
H -14.298 0.400 4.420
H -13.591 1.957 2.486
H -13.112 0.579 1.568
H -10.497 1.887 2.500
H -10.765 2.273 4.231
H -11.736 3.011 3.027
C -12.635 -3.043 -5.164
C -11.419 -2.759 -6.163
N -11.863 -2.931 -7.665
C -10.537 -2.796 -8.471
C -12.429 -4.291 -8.039
C -11.737 -5.517 -7.470
C -12.743 -1.682 -7.913
C -12.865 -1.147 -9.296
O -13.097 -2.206 -10.144
C -13.458 -1.769 -11.450
H -13.178 -3.974 -5.328
H -13.401 -2.280 -5.305
H -12.277 -3.116 -4.137
H -10.600 -3.453 -5.975
H -11.030 -1.752 -6.014
H -9.896 -3.662 -8.303
H -10.001 -1.911 -8.129
H -10.776 -2.727 -9.532
H -12.536 -4.332 -9.123
H -13.461 -4.284 -7.688
H -11.564 -5.458 -6.396
H -10.754 -5.572 -7.939
H -12.160 -6.460 -7.815
H -12.457 -0.855 -7.264
H -13.766 -1.859 -7.580
H -12.074 -0.514 -9.698
H -13.768 -0.537 -9.305
H -14.406 -1.235 -11.512
H -13.418 -2.544 -12.216
H -12.697 -1.075 -11.807
C -11.497 -12.294 -0.049
C -12.067 -10.803 0.332
N -13.249 -10.432 -0.539
C -13.400 -8.881 -0.452
C -12.966 -10.698 -2.062
C -13.928 -10.043 -3.085
C -14.605 -11.173 -0.195
C -14.884 -11.126 1.372
O -14.593 -9.877 2.077
C -15.064 -9.815 3.381
H -10.556 -12.472 0.471
H -11.167 -12.286 -1.088
H -12.203 -13.114 0.082
H -11.317 -10.021 0.217
H -12.433 -10.719 1.355
H -12.674 -8.333 -1.052
H -13.405 -8.579 0.596
H -14.400 -8.703 -0.848
H -13.001 -11.781 -2.180
H -11.921 -10.422 -2.197
H -14.049 -8.960 -3.075
H -14.909 -10.510 -3.002
H -13.556 -10.379 -4.052
H -14.602 -12.217 -0.505
H -15.371 -10.788 -0.867
H -14.489 -12.038 1.819
H -15.955 -11.320 1.438
H -14.194 -9.870 4.034
H -15.666 -10.688 3.635
H -15.647 -8.950 3.698
C -4.714 -0.109 6.381
C -5.660 -0.355 7.488
C -6.809 -1.251 7.249
O -7.828 -1.026 8.220
C -8.782 -2.018 8.327
N -4.882 -0.930 8.721
H -4.121 -0.362 9.064
H -5.520 -1.226 9.446
H -4.436 -1.815 8.522
H -3.839 0.465 6.687
H -5.235 0.320 5.525